Happenings in Denver to promote Al Graham’s Books by Zack Kopp
Liverpool’s Alan Graham met his future bride, Anne Morrison, or “Anna” as he calls her, in Earl’s Court, London, in the late-middIe-1960s, in the hotbed of U.S.-English cross-pollination resulting from the Beatles’ breakthrough.
“They were celebrating us, but in a nice way, we were celebrating them,” says Graham on one video, somewhere in his seventies now and commanding a team of authors placed in top cities all over the world from his headquarters on an island off the coast of San Diego. I’m Al’s agent in Denver, organizing a series of happenings in promotion of the re-release of his books, ‘Before The Beatles Were Famous, I Remember Jim Morrison Too’, and a collection of verse called ‘Poet Rain’.

A happening is a performance, event, or situation art, usually as performance art. The term was first used by Allan Kaprow during the 1950s to describe a range of art-related events. It can also be something as simple as people hanging out with each other and being nice to each other, exchanging love energy. The first one in Denver will be taking place on the afternoon of Thursday, January 13th with an open mic and an appearance by Al on a projection screen to be filmed and broadcast on YouTube subsequently. A piece of rock and roll history conducted from beyond the pale by the ghost of Jim Morrison at Mutiny Information Café on the corner of Broadway and Ellsworth, a place Al says reminds him of the wood stove ethos of the storied Penny Lane he grew up loving.

I woke up an hour and a half later than usual and settled back into void week, smoking pot and watching old movies on YouTube. A Christmas Story wasn’t on there anymore. Some people had died in a shooting spree down the street from Mutiny the night before and there was a stunned mood on. When the phone rang, I knew it was him. Al’s way of looking at the world is as something simple and workable and right there for you. “Here is your dream coming along, Will you take it?” he posits rhetorically in his first book, addressing the world at large. We started talking and I told him about the shootings the day before and tried to explain about void week and he said, “What’s that like? To be disconnected from everything for a whole week. I would never think of doing something like that.”

Al returned with Anna to her hometown of Los Angeles, California, just in time for the release of the Doors’ self-titled first LP in 1967, featuring a headshot of her missing brother Jim on the cover with three other band members inside it. One day Al walked in to find Anna in tears listening to this album and it took him a minute to get what was happening. After a fight with his Naval admiral father over his refusal to go to Vietnam, Anna’s brother Jim had sworn off contact with his family, living on the rooftops of apartments and commanding gangs of pickpockets, among other untold adventures, losing a lot of weight and ultimately forming a rock and roll band. Graham was one of the Lizard King’s closest companions during the wildest days and nights of Doors stardom, witnessing Jim’s alcoholic excesses and correctly diagnosing them, equipped as no other biographer with insider family perspective, as a hereditary disorder. Besides unprecedented intimacy with the close-knit Morrison family’s history and character, Graham knocked shoulders with John Lennon, Paul McCartney, Gerry Marsden, Royston Ellis, Bill Harry, and all the other notable Liverpudlians before meeting Anna and taking his adventures stateside. Many are Graham’s adventures, well varied the legends thereof, some ongoing from ever since, and be assured the watchword now is positive.

/*
{"formula": "C21H25BF2N7O4SiTl", "method": "ωB97M-V with the def2-TZVPD basis set", "elements": ["Tl", "B", "N", "C", "C", "C", "N", "N", "C", "C", "C", "N", "H", "H", "H", "H", "H", "H", "H", "H", "C", "Si", "C", "C", "N", "C", "C", "C", "C", "C", "C", "F", "H", "H", "H", "H", "H", "H", "H", "H", "H", "H", "H", "H", "H", "F", "C", "C", "N", "C", "C", "O", "O", "C", "O", "N", "C", "O", "H", "H", "H", "H"], "coordinates": [[-0.828, -0.574, -0.150], [-4.371, -0.587, 0.328], [-3.787, -1.841, -0.415], [-4.477, -2.938, -0.731], [-3.596, -3.951, -1.071], [-2.342, -3.373, -0.929], [-2.471, -2.105, -0.532], [-3.662, 0.713, -0.159], [-4.260, 1.846, -0.531], [-3.332, 2.874, -0.565], [-2.144, 2.276, -0.180], [-2.359, 0.984, 0.091], [-5.529, -0.498, 0.012], [-4.207, -0.711, 1.518], [-5.550, -2.920, -0.681], [-3.831, -4.951, -1.383], [-1.363, -3.781, -1.104], [-5.316, 1.840, -0.734], [-3.490, 3.897, -0.852], [-1.148, 2.679, -0.124], [0.024, 0.600, 3.100], [0.122, -1.238, 2.782], [-1.579, -1.966, 2.999], [1.269, -2.029, 4.015], [0.572, -1.514, 1.112], [1.776, -1.879, 0.541], [3.001, -1.845, 1.215], [4.181, -2.244, 0.608], [4.198, -2.674, -0.712], [3.004, -2.705, -1.418], [1.849, -2.318, -0.782], [0.676, -2.367, -1.500], [-0.127, 0.803, 4.162], [-0.811, 1.070, 2.575], [0.941, 1.099, 2.781], [-1.938, -1.785, 4.013], [-1.568, -3.042, 2.824], [-2.329, -1.537, 2.330], [0.762, -1.991, 4.981], [2.213, -1.499, 4.125], [1.480, -3.073, 3.790], [3.030, -1.489, 2.234], [5.099, -2.204, 1.177], [5.119, -2.978, -1.185], [2.947, -3.034, -2.446], [5.276, 4.043, -1.773], [3.943, 4.004, -1.859], [3.306, 2.956, -2.383], [1.931, 2.911, -2.486], [1.260, 1.728, -2.989], [0.495, 0.999, -1.903], [0.830, 1.139, -0.711], [-0.428, 0.216, -2.268], [1.141, 3.921, -1.995], [-0.070, 3.871, -2.025], [1.830, 4.996, -1.474], [3.209, 5.160, -1.351], [3.693, 6.155, -0.871], [3.847, 2.093, -2.745], [2.035, 1.047, -3.343], [0.597, 1.966, -3.820], [1.257, 5.756, -1.132]], "lowdin_charge": [1.1361, -0.3832, -0.0657, -0.0723, -0.0418, -0.1226, -0.0382, -0.0606, -0.0585, -0.0222, -0.1188, -0.0463, 0.0770, 0.0694, 0.1245, 0.0958, 0.1071, 0.1256, 0.1033, 0.1021, -0.1602, 0.3699, -0.1618, -0.1699, -0.1483, -0.3030, -0.0240, -0.0850, -0.0956, -0.0187, -0.2203, -0.0012, 0.0380, 0.0162, 0.0400, 0.0432, 0.0432, -0.0110, 0.0373, 0.0250, 0.0433, 0.0866, 0.1039, 0.0996, 0.1198, 0.0953, -0.1857, 0.0578, 0.0022, -0.0221, -0.6516, -0.0170, -0.0373, -0.4660, 0.0965, 0.2254, -0.3962, 0.1127, 0.1488, 0.1409, 0.1461, 0.1725], "e_homo_ev": -8.16, "multiplicity": 1, "energy_ev": -59489.0992, "e_lumo_ev": 0.118, "charge": 0}
*/
The molecular data stop here.

This morning I caught the train to Mutiny under wildfires smoke on a mission through the windstorm and had a good conversation with owner Jim Norris about the importance of people coming together and not being afraid of each other and using the net to unite not divide, and that there were plenty of memorials to go to, but in a case of perfect placement, this first event has taken form as an effort at reimplementation of positive flow in the aftermath of that shooting spree, and we’re already doing an excellent job of giving people common purpose.

- - -
Entry 1:
DFT (ωB97M-V/def2-TZVPD) results for 6 unconnected molecules or ions with the total composition C42H92N4O6 at a distorted geometry.

Each line ends with the Löwdin charge.
Atoms and positions in Å:
C -0.178 -4.487 5.400  -0.0621
C -0.772 -4.288 4.018  -0.4698
C 0.144 -3.616 2.918  -0.0343
O -1.355 -5.538 3.613  -0.0540
H 0.165 -5.521 5.403  0.0793
H -0.974 -4.671 6.122  0.0825
H 0.626 -3.756 5.490  0.0824
H -1.649 -3.668 4.203  0.1196
H 0.999 -4.197 2.571  0.0788
H 0.569 -2.652 3.198  0.0465
H -0.517 -3.376 2.085  0.0603
H -2.137 -5.315 3.103  0.0820
C -0.110 -0.278 -0.102  -0.0632
C -0.415 0.172 1.298  -0.4258
C 0.934 0.397 2.079  -0.0258
O -1.120 1.426 1.237  -0.0724
H -0.905 -0.877 -0.545  0.0723
H 0.806 -0.768 -0.433  0.0848
H 0.030 0.616 -0.710  0.0452
H -1.123 -0.500 1.783  0.1362
H 1.244 -0.625 2.299  0.0639
H 0.916 1.079 2.929  0.0699
H 1.719 0.895 1.510  0.0586
H -0.589 2.101 0.808  0.0513
C -3.229 -1.306 7.191  -0.0204
C -1.923 -0.566 7.501  -0.4642
C -1.547 0.089 6.140  -0.1784
C -0.615 1.285 6.057  -0.1593
C -1.278 2.274 7.073  -0.1275
C -1.432 1.810 8.562  -0.4733
N -2.154 0.534 8.443  -0.1524
O -2.438 0.059 9.708  -0.0121
C -0.073 1.729 9.305  -0.0159
C -2.448 2.780 9.297  -0.0190
C -0.720 -1.485 7.857  -0.0180
H -3.840 -1.304 8.093  0.0729
H -2.935 -2.333 6.973  0.0821
H -3.971 -0.796 6.578  0.0839
H -1.069 -0.648 5.496  0.1057
H -2.425 0.325 5.538  0.1070
H -0.661 1.705 5.052  0.1027
H 0.379 0.977 6.382  0.1010
H -2.277 2.461 6.681  0.1109
H -0.745 3.224 7.040  0.1098
H 0.587 1.058 8.755  0.0689
H 0.283 2.758 9.264  0.0751
H -0.065 1.591 10.386  0.0824
H -3.283 2.758 8.597  0.0759
H -2.765 2.521 10.307  0.0788
H -2.039 3.789 9.249  0.0791
H -0.746 -1.964 8.836  0.0881
H 0.256 -1.072 7.605  0.0739
H -0.629 -2.329 7.173  0.0445
H -3.323 0.413 9.824  0.0971
C -3.879 3.820 -2.684  -0.0160
C -2.595 4.558 -3.087  -0.4168
C -1.818 4.926 -1.726  -0.0932
C -0.824 3.823 -1.370  -0.1723
C 0.047 3.243 -2.516  -0.1152
C -0.811 2.772 -3.746  -0.3885
N -1.715 3.897 -4.125  0.1331
O -2.323 3.787 -5.408  0.1099
C 0.272 2.461 -4.855  -0.0111
C -1.524 1.434 -3.340  0.0315
C -3.040 5.906 -3.693  -0.0263
H -4.253 3.291 -3.561  0.0969
H -4.684 4.434 -2.280  0.1085
H -3.826 3.028 -1.937  0.0891
H -1.335 5.890 -1.881  0.1158
H -2.508 5.209 -0.931  0.1341
H -1.348 2.924 -1.047  0.0935
H -0.172 4.277 -0.623  0.1270
H 0.704 2.498 -2.066  0.1129
H 0.596 4.132 -2.827  0.1174
H -0.259 2.140 -5.752  0.0809
H 0.849 3.292 -5.258  0.0814
H 0.947 1.642 -4.607  0.0845
H -2.387 1.716 -2.737  0.0684
H -1.944 0.823 -4.138  0.0988
H -0.846 0.761 -2.816  0.0884
H -3.741 6.380 -3.006  0.1073
H -3.692 5.616 -4.518  0.0839
H -2.237 6.503 -4.125  0.1010
H -2.006 4.551 -5.895  0.1432
C -0.771 -3.513 -2.903  -0.0400
C -1.905 -4.489 -3.219  -0.5003
C -2.760 -3.855 -4.358  -0.1660
C -2.098 -3.780 -5.640  -0.2374
C -1.634 -5.113 -6.128  -0.1253
C -0.898 -5.983 -5.077  -0.4616
N -1.475 -5.830 -3.684  -0.0865
O -0.680 -6.485 -2.702  -0.0204
C -0.941 -7.436 -5.609  -0.0456
- - -

Next up is the Santa Fe strip with all the art galleries, and there’s a used bookstore next to a cool record store I know. In a month or so, we’ll move on to the next metro district. Denver, this is your time. Live and learn, go do some good. And while all the above is occurring, Graham is actively engaged in a historic renovation of Angels Flight, the funicular railway connecting Bunker Hill to Los Angeles, which is neither here nor there, but in a real sense everywhere. Get Al’s books here and look for film of the happening on YouTube and Camp Elasticity on the 14th or 15th of next year’s new month. Out.
Zack Kopp